Brief =
Find "-0.039372 0.021906" and "-1.797660 -0.015" in the calculation results underneath, and echo these two lines and those between.

Contents =
~~~
Record 1
ORCA calculation (the ωB97M-V functional and the def2-TZVPD basis) on a molecular structure, C29H35I2N8O3RbS3.

- Energy above the lowest of the compared OMol25 structures with the same formula, charge and spin: 0.0731 eV
- Total charge: -2
- Largest force on an atom: 0.26 eV/A
- 2S+1: 1
- HOMO energy: -1.93 eV

Structure (XYZ):
```
81
Properties=species:S:1:pos:R:3:forces:R:3
Rb -0.039372 0.021906 0.514162 0.061 -0.080 -0.126
C 1.453221 3.537365 1.761524 0.017 0.037 -0.011
C 0.833868 2.764812 2.938123 0.004 0.031 0.026
N -0.450161 2.177342 2.636102 -0.028 -0.029 -0.124
C -1.631376 2.997405 2.602772 0.004 0.034 0.032
C -1.768144 3.975624 1.430581 -0.020 0.028 -0.013
S -1.575873 3.316601 -0.256703 0.060 -0.075 0.033
C -0.088088 4.190225 -0.835184 -0.009 0.020 -0.005
C 1.252617 3.454741 -0.707876 -0.003 0.010 -0.004
N 1.429549 2.776054 0.542803 -0.097 -0.086 0.043
H 2.469200 3.841387 2.067208 0.000 0.000 0.001
H 0.902688 4.468188 1.609430 0.012 0.002 -0.011
H 0.800532 3.448203 3.808600 -0.013 -0.019 0.013
H 1.509825 1.944996 3.190937 0.012 0.003 -0.014
H -0.639878 1.329749 3.152512 0.019 0.019 0.008
H -1.744056 3.616071 3.516361 0.005 -0.016 0.008
H -2.476198 2.308260 2.574932 -0.008 -0.001 0.006
H -1.079434 4.813744 1.530004 -0.003 0.000 -0.003
H -2.774816 4.397264 1.490333 0.002 0.005 0.005
H -0.071848 5.155028 -0.322717 -0.005 0.001 -0.005
H -0.258553 4.399041 -1.892707 0.006 0.008 0.000
H 2.033239 4.209396 -0.929703 0.012 -0.013 0.001
H 1.310519 2.705911 -1.499286 -0.002 0.010 -0.002
H 2.118311 2.025775 0.531316 0.012 0.023 0.035
I -8.214176 -1.060891 3.950127 0.002 -0.001 0.005
C -6.240703 -0.716698 3.332295 0.004 0.012 -0.034
C -5.192286 -0.948630 4.206652 0.009 -0.018 0.051
C -3.898250 -0.724480 3.776381 -0.031 0.002 -0.060
I -2.295801 -1.032851 5.080386 0.013 -0.006 0.026
C -3.563029 -0.278713 2.461727 0.022 -0.071 0.023
O -2.371059 -0.116236 2.066341 -0.059 0.090 -0.011
C -4.697073 -0.008443 1.617532 0.014 0.006 0.001
C -4.430717 0.590496 0.255265 -0.008 -0.017 -0.001
N -3.570649 -0.166611 -0.642901 -0.002 -0.017 0.020
C -4.028377 -1.509411 -0.914934 0.007 0.009 -0.008
C -3.047155 -2.242970 -1.797660 -0.015 -0.004 0.001
C -3.487159 -3.243306 -2.660606 -0.005 0.027 0.007
C -2.562008 -3.919701 -3.435322 0.017 -0.004 -0.005
C -1.224421 -3.576580 -3.327264 0.009 -0.002 -0.007
C -0.875316 -2.569591 -2.441180 -0.002 0.030 0.037
N -1.760234 -1.914814 -1.690915 -0.040 -0.023 0.059
C -5.986175 -0.241386 2.047911 -0.014 0.001 0.024
H -5.376332 -1.300171 5.213046 -0.001 0.001 -0.002
H -3.948824 1.564316 0.383718 -0.008 0.003 0.000
H -5.388918 0.768147 -0.246832 0.001 0.004 -0.002
H -2.658265 -0.238861 -0.209378 -0.094 0.087 -0.042
H -4.998485 -1.463134 -1.421840 -0.005 -0.010 0.005
H -4.181203 -2.108307 -0.000159 0.003 -0.006 0.000
H -4.544216 -3.474206 -2.715562 0.003 -0.008 -0.012
H -2.879923 -4.701307 -4.115573 -0.004 0.000 0.002
H -0.456611 -4.075059 -3.902898 -0.007 -0.005 -0.003
H 0.163724 -2.287495 -2.315188 0.004 -0.003 0.000
H -6.811401 -0.036273 1.373762 0.004 0.001 -0.004
C 4.471871 -1.514148 -2.833776 -0.015 0.010 0.021
C 3.708311 -0.631638 -3.743812 0.055 0.067 -0.015
N 3.905345 -0.488458 -5.019726 -0.077 -0.098 0.013
N 2.949530 0.421860 -5.395063 0.045 0.070 0.000
C 2.181408 0.869994 -4.386091 -0.028 -0.044 0.010
S 0.956534 2.005160 -4.483261 0.013 -0.005 -0.004
N 2.670511 0.171495 -3.318123 -0.067 0.023 0.016
N 2.189384 0.293858 -2.011509 0.088 -0.034 -0.006
H 5.259772 -2.005228 -3.401080 0.004 0.008 0.010
H 3.806503 -2.257516 -2.384628 0.003 0.000 0.003
H 4.889995 -0.933865 -2.006997 0.013 0.013 0.004
H 2.872528 0.736124 -6.343144 0.008 0.009 0.001
H 2.953157 0.674826 -1.441565 -0.009 0.027 -0.008
H 2.032811 -0.658549 -1.645138 0.027 0.016 0.009
O 4.463056 0.475307 -0.164377 -0.064 -0.045 -0.077
C 3.715869 -0.198599 0.591069 0.225 0.107 0.084
O 2.659420 0.217762 1.123758 0.003 -0.044 0.031
C 4.159731 -1.616352 0.894934 -0.115 -0.056 -0.040
C 5.361758 -1.773104 1.577500 0.023 0.012 -0.003
~~~

Result =
Rb -0.039372 0.021906 0.514162 0.061 -0.080 -0.126
C 1.453221 3.537365 1.761524 0.017 0.037 -0.011
C 0.833868 2.764812 2.938123 0.004 0.031 0.026
N -0.450161 2.177342 2.636102 -0.028 -0.029 -0.124
C -1.631376 2.997405 2.602772 0.004 0.034 0.032
C -1.768144 3.975624 1.430581 -0.020 0.028 -0.013
S -1.575873 3.316601 -0.256703 0.060 -0.075 0.033
C -0.088088 4.190225 -0.835184 -0.009 0.020 -0.005
C 1.252617 3.454741 -0.707876 -0.003 0.010 -0.004
N 1.429549 2.776054 0.542803 -0.097 -0.086 0.043
H 2.469200 3.841387 2.067208 0.000 0.000 0.001
H 0.902688 4.468188 1.609430 0.012 0.002 -0.011
H 0.800532 3.448203 3.808600 -0.013 -0.019 0.013
H 1.509825 1.944996 3.190937 0.012 0.003 -0.014
H -0.639878 1.329749 3.152512 0.019 0.019 0.008
H -1.744056 3.616071 3.516361 0.005 -0.016 0.008
H -2.476198 2.308260 2.574932 -0.008 -0.001 0.006
H -1.079434 4.813744 1.530004 -0.003 0.000 -0.003
H -2.774816 4.397264 1.490333 0.002 0.005 0.005
H -0.071848 5.155028 -0.322717 -0.005 0.001 -0.005
H -0.258553 4.399041 -1.892707 0.006 0.008 0.000
H 2.033239 4.209396 -0.929703 0.012 -0.013 0.001
H 1.310519 2.705911 -1.499286 -0.002 0.010 -0.002
H 2.118311 2.025775 0.531316 0.012 0.023 0.035
I -8.214176 -1.060891 3.950127 0.002 -0.001 0.005
C -6.240703 -0.716698 3.332295 0.004 0.012 -0.034
C -5.192286 -0.948630 4.206652 0.009 -0.018 0.051
C -3.898250 -0.724480 3.776381 -0.031 0.002 -0.060
I -2.295801 -1.032851 5.080386 0.013 -0.006 0.026
C -3.563029 -0.278713 2.461727 0.022 -0.071 0.023
O -2.371059 -0.116236 2.066341 -0.059 0.090 -0.011
C -4.697073 -0.008443 1.617532 0.014 0.006 0.001
C -4.430717 0.590496 0.255265 -0.008 -0.017 -0.001
N -3.570649 -0.166611 -0.642901 -0.002 -0.017 0.020
C -4.028377 -1.509411 -0.914934 0.007 0.009 -0.008
C -3.047155 -2.242970 -1.797660 -0.015 -0.004 0.001